30 Going on 13: Dreaming Again

Unrelated to this entry: records of crystals:
........
# r²SCAN Li3Al2, relaxed
data_Li3Al2
_chemical_formula_sum 'Li9 Al6'
_space_group_name_H-M_alt 'R -3 m'
_space_group_IT_number 166
_space_group_name_Hall '-R 3 2"'
_cell_length_a 4.4339
_cell_length_b 4.4339
_cell_length_c 14.1191
_cell_angle_alpha 90.00
_cell_angle_beta 90.00
_cell_angle_gamma 120.00
loop_
_atom_site_label
_atom_site_type_symbol
_atom_site_fract_x
_atom_site_fract_y
_atom_site_fract_z
Li1 Li 0.0000 0.0000 0.0000
Li2 Li 0.0000 0.0000 0.4022
Al1 Al 0.0000 0.0000 0.1964
# Final energy, eV/atom: -4.33
# Energy of formation from the pure elements, meV per atom: -206

=====

# EuAl20V2

A relaxed EuAl20V2 crystal (GGA-PBE, the Materials Project database).

```
EuAl20V2
1.0
0.0000 7.2785 7.2785
7.2785 0.0000 7.2785
7.2785 7.2785 0.0000
Eu Al V
2 40 4
Direct
0.1250 0.1250 0.1250
0.8750 0.8750 0.8750
0.0000 0.0000 0.0000
0.0000 0.0000 0.5000
0.0000 0.5000 0.0000
0.0567 0.3256 0.3256
0.0567 0.3256 0.7921
0.0567 0.7921 0.3256
0.2079 0.6744 0.6744
0.2079 0.6744 0.9433
0.2079 0.9433 0.6744
0.2361 0.2361 0.5139
0.2361 0.5139 0.2361
0.2361 0.5139 0.5139
0.3256 0.0567 0.3256
0.3256 0.0567 0.7921
0.3256 0.3256 0.0567
0.3256 0.3256 0.7921
0.3256 0.7921 0.0567
0.3256 0.7921 0.3256
0.4861 0.4861 0.7639
0.4861 0.7639 0.4861
0.4861 0.7639 0.7639
0.5000 0.0000 0.0000
0.5139 0.2361 0.2361
0.5139 0.2361 0.5139
0.5139 0.5139 0.2361
0.6744 0.2079 0.6744
0.6744 0.2079 0.9433
0.6744 0.6744 0.2079
0.6744 0.6744 0.9433
0.6744 0.9433 0.2079
0.6744 0.9433 0.6744
0.7639 0.4861 0.4861
0.7639 0.4861 0.7639
0.7639 0.7639 0.4861
0.7921 0.0567 0.3256
0.7921 0.3256 0.0567
0.7921 0.3256 0.3256
0.9433 0.2079 0.6744
0.9433 0.6744 0.2079
0.9433 0.6744 0.6744
0.0000 0.5000 0.5000
0.5000 0.0000 0.5000
0.5000 0.5000 0.0000
0.5000 0.5000 0.5000
```

Results
DFT total energy (eV per atom): -4.73
Energy relative to the elements (eV per atom): -0.24

# BaSrSmBiO6

A relaxed BaSrSmBiO6 crystal (GGA-PBE, the Materials Project database).

```
BaSrSmBiO6
1.0
8.7043 0.0000 0.0000
0.0000 8.7072 0.0000
0.0000 0.0000 8.7122
Ba Sr Sm Bi O
4 4 4 4 24
Direct
0.0000 0.0000 0.0000
0.0000 0.0000 0.5000
0.5000 0.0000 0.0000
0.5000 0.5000 0.5000
0.0000 0.5000 0.0000
0.0000 0.5000 0.5000
0.5000 0.0000 0.5000
0.5000 0.5000 0.0000
0.2509 0.2525 0.7493
0.2509 0.7475 0.2507
0.7491 0.2525 0.2507
0.7491 0.7475 0.7493
0.2501 0.2534 0.2509
0.2501 0.7466 0.7491
0.7499 0.2534 0.7491
0.7499 0.7466 0.2509
0.0086 0.2225 0.2807
0.0086 0.7775 0.7193
0.2129 0.2891 0.0095
0.2129 0.7109 0.9905
0.2149 0.4915 0.2956
0.2149 0.5085 0.7044
0.2761 0.0101 0.2185
0.2761 0.9899 0.7815
0.2943 0.2156 0.4904
0.2943 0.7844 0.5096
0.4901 0.2919 0.2114
0.4901 0.7081 0.7886
0.5099 0.2919 0.7886
0.5099 0.7081 0.2114
0.7057 0.2156 0.5096
0.7057 0.7844 0.4904
0.7239 0.0101 0.7815
0.7239 0.9899 0.2185
........
The records of crystals stop here:

Mika Aldaba
6 min readApr 25, 2021


Raise your hand if you spent the lockdown bingewatching Netflix and not being productive

30, flirty and thriving? More like 30, thirsty and surviving

Living in a society that places such a high premium on youth makes you dread the day you turn 30. Especially when you are bombarded with articles like The Invisibility of Older Women and TED talks like Why 30 is not the new 20. I don’t even know why the gift of living to have another year is making me sad when in the face of a pandemic where you see even people of all ages losing their lives, it would be a luxury to get more time. It was a non-event for me anyway being situated in the middle of a global pandemic. One day I woke up and realized I was 30, which also puts me in the tail end of the vaccination queue in Denmark.

Among countless others, I basically lost the last year of my 20s while living paycheck to paycheck and my relationship breaking down. I don’t really mind, I had a blast for most of the 2010s once I got past the depression inflicted on the first half of it. But it’s not quite the grief of lost youth that I feel, rather the anxiety of not hitting the milestones that society says I should hit by now. Out of sheer biological panic, I have started googling queries like how much it costs to freeze my eggs and what age is too early to start botox.

When I was younger, I had two goals with a time limit of 30. One was to win an Art Directors Guild Young Guns award. Designers cannot be older than 30 to apply. Halfway through my 20s I changed careers to data and lost sight over that goal as I wasn’t doing much with visual design anymore. The dream slipped away from me.

I used to really love design. I could work my regular job for 8 hours and still find the time to work on personal or freelance projects after that. Over the years, it just hasn’t been the same. I didn’t even bother installing Photoshop on my latest computer anymore (don’t worry, I’m moving on to Figma). It became regular work to me and the joy seeped out after dealing with the realities of the actual job and getting bored because Websites really do all look the same. People always like to talk about falling in love with their passions, but not a lot talk about falling out of love.

Somewhere along the way I also realised that my talent didn’t come anywhere close to the size of my ambitions. I gave up on it and chose to have a life instead of total dedication to a great design career. If I have any regrets in life, it would probably be that decision.

I’ve gotten over the sheen of awards gradually especially when a former boss of mine who was in a Forbes 30 under 30 list told me it was more about networking than anything. Over time you realise that not winning doesn’t mean you’re exactly failing even though you’re not really succeeding either.

The reality of it was that my two goals were not exactly compatible with each other. Prioritizing the enjoyment of a personal life meant fewer hours spent on my professional goals. To be honest, I still haven’t found the optimal ratio for myself yet. Another learning when setting goals is not to make ones that contradict each other.

My second goal was to live in seven cities by 30. It wasn’t even my own dream. A friend mentioned that to me in college and I adopted it. If living in a city is defined by at least one month period of time, then I’ve overshot this goal by one. But if it’s defined by at least half a year, then I’ve only properly lived in 4 cities so far. Despite the debt that I need to pay forward, I have made it to Copenhagen. It wasn’t the city of my dreams when I was young, but it was a place I fell in love with during my studies here. My dream city used to be Paris and it turned out to be a nightmare when I visited there and also because of personal reasons.

That’s the thing with dreams, they change over time.

A new decade means a new opportunity to dream again

So how do I get myself out of this rut?

First of all, survive. We are in the middle of the biggest health crisis in recent history. I have to forgive myself for not thriving. The question is just how do I know that the survival phase is over? And when is it time to thrive? I’ll never really know especially as an immigrant with a non-permanent status. I just have to do the transition gradually, otherwise I’ll never do it at all.

Second, it’s true what they say that you need to step outside of yourself. A pair of students echoed my sentiments over a dinner discussion. The pandemic had also robbed them of their passions. The message is clear: do not despair, you are not alone. The thought of that is comforting.

During the lockdown, another friend, Mitchie Tabirao and another Filipina have managed to found ulap.org, a non-profit that aims to provide scholarships for cloud computing to disadvantaged Filipinos. Why can’t I come up with something like that instead of watching 50 Netflix shows?

A combination of lockdown fatigue and the fact that consulting, my current work, is a 45–60 hour week job limits the free time that I have. As a 30 year old, honestly I just don’t have the energy I had when I was 20 and working 12–16 hour days and still being able to party afterwards. It makes me slightly jealous to see people ten years younger than me, with the energy and ideas I used to have, eyes burning bright with passion.The new design communities like developh give me hope for the future as instead of the cliques, elitism and gatekeeping of before, they are now driven by the values of diversity and inclusion.

Instead of wasting my time envying what lays ahead of them, I should be inspired instead and use the time that I have left wisely. The reality of being 30 is that one really needs to learn how to focus and prioritise. Or at least improve stamina and health in order to be able to do more. A therapist or a life coach would also be great if I could afford it. Luckily, some professionals are offering their services for free or some therapy could be covered by insurance. Otherwise, it can be equally beneficial to find an accountability partner or friend. It really helps just to talk on a regular basis with someone who understands.

I’ve decided to be 13 again

An action plan for building a creative routine in my 30s

The key word is doing something regularly and small steps at a time. Structure seems to work for me and the unpredictability of the pandemic prevented our lives from having the stability needed to build structure on top of. The privilege in living in a country that has managed the situation well allows optimism to start planning again. I have also learned that having impossibly big goals made me depressed when I didn’t achieve them. Setting smaller goals I can achieve everyday can make me ultimately happier. One could never really know what ripple effects our seemingly tiny actions can have.

This little essay is just the start of documenting my journey on rekindling my passion for design again. One of my project ideas is to talk to designers in Denmark about Danish design and eventually in other countries about their own country’s design style. I will be publishing it either in written, audio or bite-sized graphic form. Or I could just do a simple design a day project, like I did when I was 20 and ecstatic that I would be moving to Singapore. The main point isn’t really about growing an audience or something like that. The goal is for me to find my passion again, but by putting it out into the open it might actually help other people as a by-product.

The thing with goals is that they are doomed to fail if it’s focused on attaining external achievements like being on some list or winning an award. An acquaintance of mine was recently listed in the Berlingske 100, a top list of people in Denmark. She is an immigrant like myself. I wrote to her and asked her how she did it. She said she simply followed her passion and the rest followed. Sounds simple but regaining lost passion is going to be another tough journey in my 30s.

A brief thought of going for the Berlingske list crossed my mind but a decade of disappointment has taught me better. If my goal is related to the action itself, then I can be winning everyday and I won’t need an award to validate myself.

